Brief =
Find the line underneath that holds "-5.5587", then type out that line and all lines after it there.

Data =
A structure of composition C45H39ClF5HgN2O5P2Te. Source: the Open Molecules 2025 dataset; level of theory: ωB97M-V/def2-TZVPD.

The geometry in XYZ format:
```
101
C45H39ClF5HgN2O5P2Te | the Open Molecules 2025 dataset | ωB97M-V/def2-TZVPD
H 2.8540 1.2233 2.0253
H -4.8109 -0.0380 5.6307
C 1.5887 1.3238 -4.9818
Hg 1.4164 -1.1830 0.2056
H -3.3041 3.6025 -5.0010
C -0.2656 -2.4010 0.8928
H 0.9294 -4.1259 0.4599
C 4.2502 3.7694 1.9088
C 3.7129 -0.9081 -1.4788
C 2.6861 3.9728 0.0446
H -2.1449 -0.6049 -4.8337
C -2.7667 2.2753 -1.4321
C -3.5633 -0.0372 3.8918
C -0.1583 2.4560 4.0415
C -5.9100 -0.5900 3.8730
H -4.0511 3.8690 -0.7978
C -4.7696 -0.1993 4.5597
O 2.5585 -0.5913 -1.8687
F 6.0353 -1.4891 1.3842
F 4.6622 -2.5282 3.0665
H -6.7272 -1.1085 1.9592
C -0.9511 1.8482 3.0823
C 5.4202 1.6310 2.6907
H 1.4457 2.1983 5.4456
H 3.8893 -2.4440 -2.9885
C -3.5772 3.3820 -1.6416
H -1.8695 1.6513 -4.6286
H -3.8761 -2.1901 -5.5587
H 0.2465 -1.3151 3.3328
O 4.7242 1.2174 3.8456
H 1.7712 -2.0161 -5.4699
C -2.3508 2.1228 -3.7829
C 0.0877 0.1635 -3.4912
C 1.0880 2.3064 -0.4732
H 0.1424 -1.9752 -3.6176
H 2.6907 0.1018 -6.3583
H 1.1782 4.1998 -1.4730
C -3.6168 -2.1206 -4.5085
C -3.9059 -2.8503 -2.2421
C -2.3106 -2.9316 2.1428
H -4.5876 -0.7802 0.7600
N 5.2040 3.0497 2.5375
O 4.2633 4.9969 2.0128
C 3.1830 3.1465 1.0452
H -2.6776 0.2487 4.4431
C -2.6514 -1.2161 -4.0989
H 6.4933 1.4823 2.8231
C -3.1569 3.2302 -3.9936
F 2.8204 -3.0855 -0.5282
H -2.6625 -1.8749 -0.7869
C 0.9264 0.3575 4.4766
H 1.6791 -0.2226 4.9935
H 5.1157 1.0947 1.7938
O 4.2598 -0.5056 -0.4252
C -4.6424 -0.6190 1.8323
H 5.7809 3.6208 3.1348
C -2.9448 -1.9372 -1.8300
H -4.3935 4.7391 -3.0936
H -2.6099 1.8999 -0.4302
H -3.2060 -2.6056 2.6532
H -4.3811 -3.4938 -1.5117
H 3.1368 4.9471 -0.0943
H -2.6558 -4.9937 2.6059
Cl 5.7005 -2.7840 -1.5006
C 1.6112 3.5606 -0.7142
H 4.7117 0.2437 3.8478
H 0.3806 2.2917 -3.5044
H -0.5823 -5.7517 1.4837
C -2.1384 1.6273 -2.4951
C -2.3105 -1.1067 -2.7506
C -5.8425 -0.7962 2.5017
H -0.2693 3.5149 4.2451
C 2.5716 1.8966 1.2274
C -1.4622 -1.9942 1.5448
H 0.2438 1.9409 -1.0430
C 0.7914 1.7136 4.7316
C 1.9677 0.1185 -5.5516
H -6.8433 -0.7342 4.4040
C -3.4793 -0.2618 2.5192
C 0.6609 1.3459 -3.9515
H 2.0218 2.2535 -5.3320
F 3.0387 -3.9360 1.7999
C 4.5486 -1.7938 -2.4239
C 0.0126 -3.7723 0.9178
C -1.9984 -4.2793 2.1220
C -0.8151 0.4847 2.8158
P -1.1016 0.1333 -2.0937
C -4.2508 -2.9382 -3.5811
C -0.8346 -4.6978 1.5059
C 1.4462 -1.0686 -5.0578
O 2.8946 -1.2565 1.7478
P -1.9182 -0.2188 1.5263
F 5.4698 -4.1364 1.1710
Te 4.1796 -2.4390 1.1478
H -1.6828 2.4302 2.5293
H 5.1139 -1.1377 -3.0864
C 0.5245 -1.0477 -4.0261
C 0.1249 -0.2576 3.5238
H -5.0061 -3.6436 -3.9062
C -3.7735 3.8668 -2.9251
N 1.5530 1.4842 0.4557
```

Values from the calculation:
⟨S²⟩ ... 0.7583
Gap between HOMO and LUMO (alpha / beta) ... 6.08 / 7.06 eV
Multiplicity ... 2
E ... -116673.31064 eV
Total charge ... -2
HOMO (alpha / beta) ... -2.32 / -3.30 eV

~~~~~

# 1
DFT (ωB97M-V/def2-TZVPD) results for a cluster of 2 separate species, C14H12N8O4 in total at a distorted geometry.

Each line ends with the Mulliken charge.
Atoms and positions in Å:
O1 2.47171 2.60623 3.23734  -0.598
N1 1.94839 1.50538 2.97887  1.003
O2 2.61432 0.44688 2.84448  -0.578
C1 0.52781 1.36160 2.82398  -0.134
C2 -0.39647 2.41709 3.01646  -0.270
C3 -1.75982 2.15758 3.04025  -0.340
N2 -2.70213 3.25911 3.18361  0.928
O3 -3.92426 3.04852 3.15268  -0.533
O4 -2.20867 4.40083 3.32903  -0.593
C4 -2.22092 0.79639 2.95562  0.607
N3 -3.39712 0.15464 3.11386  -0.327
N4 -3.14241 -1.16680 2.89439  -0.559
N5 -1.88461 -1.38880 2.63604  -0.538
N6 -1.26396 -0.16978 2.68879  0.627
C5 0.07542 0.07109 2.59462  0.016
H1 -0.03057 3.42164 3.18380  0.594
H2 0.71611 -0.79512 2.54900  0.749
C6 -0.89192 0.82303 -3.50532  -1.714
C7 -0.03777 -0.18703 -2.79511  0.822
C8 -0.07251 -0.18560 -1.39669  -0.614
C9 0.69509 -1.10888 -0.68798  -0.114
N7 0.84733 -1.35475 0.66443  -0.039
C10 1.71448 -2.34260 0.79808  -0.476
N8 2.14194 -2.78950 -0.42782  -0.090

Solution =
H -3.8761 -2.1901 -5.5587
H 0.2465 -1.3151 3.3328
O 4.7242 1.2174 3.8456
H 1.7712 -2.0161 -5.4699
C -2.3508 2.1228 -3.7829
C 0.0877 0.1635 -3.4912
C 1.0880 2.3064 -0.4732
H 0.1424 -1.9752 -3.6176
H 2.6907 0.1018 -6.3583
H 1.1782 4.1998 -1.4730
C -3.6168 -2.1206 -4.5085
C -3.9059 -2.8503 -2.2421
C -2.3106 -2.9316 2.1428
H -4.5876 -0.7802 0.7600
N 5.2040 3.0497 2.5375
O 4.2633 4.9969 2.0128
C 3.1830 3.1465 1.0452
H -2.6776 0.2487 4.4431
C -2.6514 -1.2161 -4.0989
H 6.4933 1.4823 2.8231
C -3.1569 3.2302 -3.9936
F 2.8204 -3.0855 -0.5282
H -2.6625 -1.8749 -0.7869
C 0.9264 0.3575 4.4766
H 1.6791 -0.2226 4.9935
H 5.1157 1.0947 1.7938
O 4.2598 -0.5056 -0.4252
C -4.6424 -0.6190 1.8323
H 5.7809 3.6208 3.1348
C -2.9448 -1.9372 -1.8300
H -4.3935 4.7391 -3.0936
H -2.6099 1.8999 -0.4302
H -3.2060 -2.6056 2.6532
H -4.3811 -3.4938 -1.5117
H 3.1368 4.9471 -0.0943
H -2.6558 -4.9937 2.6059
Cl 5.7005 -2.7840 -1.5006
C 1.6112 3.5606 -0.7142
H 4.7117 0.2437 3.8478
H 0.3806 2.2917 -3.5044
H -0.5823 -5.7517 1.4837
C -2.1384 1.6273 -2.4951
C -2.3105 -1.1067 -2.7506
C -5.8425 -0.7962 2.5017
H -0.2693 3.5149 4.2451
C 2.5716 1.8966 1.2274
C -1.4622 -1.9942 1.5448
H 0.2438 1.9409 -1.0430
C 0.7914 1.7136 4.7316
C 1.9677 0.1185 -5.5516
H -6.8433 -0.7342 4.4040
C -3.4793 -0.2618 2.5192
C 0.6609 1.3459 -3.9515
H 2.0218 2.2535 -5.3320
F 3.0387 -3.9360 1.7999
C 4.5486 -1.7938 -2.4239
C 0.0126 -3.7723 0.9178
C -1.9984 -4.2793 2.1220
C -0.8151 0.4847 2.8158
P -1.1016 0.1333 -2.0937
C -4.2508 -2.9382 -3.5811
C -0.8346 -4.6978 1.5059
C 1.4462 -1.0686 -5.0578
O 2.8946 -1.2565 1.7478
P -1.9182 -0.2188 1.5263
F 5.4698 -4.1364 1.1710
Te 4.1796 -2.4390 1.1478
H -1.6828 2.4302 2.5293
H 5.1139 -1.1377 -3.0864
C 0.5245 -1.0477 -4.0261
C 0.1249 -0.2576 3.5238
H -5.0061 -3.6436 -3.9062
C -3.7735 3.8668 -2.9251
N 1.5530 1.4842 0.4557
```

Values from the calculation:
⟨S²⟩ ... 0.7583
Gap between HOMO and LUMO (alpha / beta) ... 6.08 / 7.06 eV
Multiplicity ... 2
E ... -116673.31064 eV
Total charge ... -2
HOMO (alpha / beta) ... -2.32 / -3.30 eV

~~~~~

# 1
DFT (ωB97M-V/def2-TZVPD) results for a cluster of 2 separate species, C14H12N8O4 in total at a distorted geometry.

Each line ends with the Mulliken charge.
Atoms and positions in Å:
O1 2.47171 2.60623 3.23734  -0.598
N1 1.94839 1.50538 2.97887  1.003
O2 2.61432 0.44688 2.84448  -0.578
C1 0.52781 1.36160 2.82398  -0.134
C2 -0.39647 2.41709 3.01646  -0.270
C3 -1.75982 2.15758 3.04025  -0.340
N2 -2.70213 3.25911 3.18361  0.928
O3 -3.92426 3.04852 3.15268  -0.533
O4 -2.20867 4.40083 3.32903  -0.593
C4 -2.22092 0.79639 2.95562  0.607
N3 -3.39712 0.15464 3.11386  -0.327
N4 -3.14241 -1.16680 2.89439  -0.559
N5 -1.88461 -1.38880 2.63604  -0.538
N6 -1.26396 -0.16978 2.68879  0.627
C5 0.07542 0.07109 2.59462  0.016
H1 -0.03057 3.42164 3.18380  0.594
H2 0.71611 -0.79512 2.54900  0.749
C6 -0.89192 0.82303 -3.50532  -1.714
C7 -0.03777 -0.18703 -2.79511  0.822
C8 -0.07251 -0.18560 -1.39669  -0.614
C9 0.69509 -1.10888 -0.68798  -0.114
N7 0.84733 -1.35475 0.66443  -0.039
C10 1.71448 -2.34260 0.79808  -0.476
N8 2.14194 -2.78950 -0.42782  -0.090